**Source**
____________
No. 1
For LaYNp, a crystal structure in Alexandria, relaxed with PBE gives the calculated powder X-ray diffraction pattern in this record (CuKα).
No peak broadening, texture or thermal motion is included.

Largest 10 diffraction maxima, low angle first, 2θ = 10–90°:
- d = 7.986 Å, 11.1°, intensity 100
- d = 6.219 Å, 14.2°, intensity 63
- d = 5.674 Å, 15.6°, intensity 65
- d = 2.968 Å, 30.1°, intensity 56
- d = 2.842 Å, 31.5°, intensity 54
- d = 2.716 Å, 33.0°, intensity 68
- d = 2.539 Å, 35.4°, intensity 63
- d = 2.321 Å, 38.8°, intensity 52
- d = 2.258 Å, 39.9°, intensity 53
- d = 1.739 Å, 52.6°, intensity 44

Structural model:
Unit cell a=16.5412 b=3.5744 c=6.4405 alpha=90.00 beta=105.08 gamma=90.00
Space group C2/m (No. 12)
Symmetry-distinct sites (fractional):
La (0.0600, 0.0000, 0.2980) [4 per cell]
Y (0.1524, 0.5000, 0.8417) [4 per cell]
Np (0.2259, 0.5000, 0.3779) [4 per cell]

No. 2
For YNp3Sb4, a crystal structure in Alexandria, relaxed with PBE gives the calculated powder X-ray diffraction pattern in this record (CuKα).
No peak broadening, texture or thermal motion is included.

Largest 10 diffraction maxima, low angle first, 2θ = 10–90°:
- d = 3.589 Å, 24.8°, intensity 10
- d = 3.108 Å, 28.7°, intensity 100
- d = 2.198 Å, 41.1°, intensity 77
- d = 1.874 Å, 48.6°, intensity 6
- d = 1.794 Å, 50.9°, intensity 28
- d = 1.554 Å, 59.5°, intensity 13
- d = 1.390 Å, 67.4°, intensity 30
- d = 1.389 Å, 67.4°, intensity 6
- d = 1.269 Å, 74.8°, intensity 20
- d = 1.268 Å, 74.9°, intensity 7

Structural model:
Unit cell a=7.6154 b=8.8000 c=7.6037 alpha=90.00 beta=109.48 gamma=90.00
Space group P2/c (No. 13)
Symmetry-distinct sites (fractional):
Y (0.0000, 0.1248, 0.2500) [2 per cell]
Np (0.0000, 0.3739, 0.7500) [2 per cell]
Np (0.5000, 0.1242, 0.7500) [2 per cell]
Np (0.5000, 0.3742, 0.2500) [2 per cell]
Sb (0.2493, 0.3752, 0.5006) [4 per cell]
Sb (0.2501, 0.1247, 0.9989) [4 per cell]

No. 3
For Sr2Li2Nb4O13, a crystal structure in Alexandria, relaxed with PBE gives the calculated powder X-ray diffraction pattern in this record (CuKα).
No peak broadening, texture or thermal motion is included.

Largest 10 diffraction maxima, low angle first, 2θ = 10–90°:
- d = 8.653 Å, 10.2°, intensity 68
- d = 4.326 Å, 20.5°, intensity 23
- d = 3.976 Å, 22.4°, intensity 45
- d = 3.465 Å, 25.7°, intensity 73
- d = 3.111 Å, 28.7°, intensity 31
- d = 2.830 Å, 31.6°, intensity 69
- d = 2.773 Å, 32.3°, intensity 100
- d = 2.001 Å, 45.3°, intensity 60
- d = 1.733 Å, 52.8°, intensity 21
- d = 1.623 Å, 56.7°, intensity 41

Structural model:
Unit cell a=4.0023 b=4.0023 c=34.6112 alpha=90.00 beta=90.00 gamma=90.00
Space group I4/mmm (No. 139)
Symmetry-distinct sites (fractional):
Sr (0.0000, 0.0000, 0.1163) [4 per cell]
Li (0.0000, 0.5000, 0.2500) [4 per cell]
Nb (0.0000, 0.0000, 0.3219) [4 per cell]
Nb (0.0000, 0.0000, 0.4439) [4 per cell]
O (0.0000, 0.0000, 0.2669) [4 per cell]
O (0.0000, 0.0000, 0.3834) [4 per cell]
O (0.0000, 0.0000, 0.5000) [2 per cell]
O (0.0000, 0.5000, 0.0624) [8 per cell]
O (0.0000, 0.5000, 0.1724) [8 per cell]

No. 4
For MnReAg, a crystal structure in Alexandria, relaxed with PBE gives the calculated powder X-ray diffraction pattern in this record (CuKα).
No peak broadening, texture or thermal motion is included.

Largest 10 diffraction maxima, low angle first, 2θ = 10–90°:
- d = 6.756 Å, 13.1°, intensity 30
- d = 3.378 Å, 26.4°, intensity 16
- d = 2.479 Å, 36.2°, intensity 17
- d = 2.252 Å, 40.0°, intensity 24
- d = 2.244 Å, 40.2°, intensity 27
- d = 2.200 Å, 41.0°, intensity 100
- d = 1.590 Å, 58.0°, intensity 16
- d = 1.290 Å, 73.4°, intensity 13
- d = 1.287 Å, 73.6°, intensity 17
- d = 1.262 Å, 75.3°, intensity 16

Structural model:
Unit cell a=3.0484 b=4.4881 c=13.5114 alpha=90.00 beta=90.00 gamma=90.00
Space group Fmm2 (No. 42)
Symmetry-distinct sites (fractional):
Mn (0.0000, 0.0000, 0.0000) [4 per cell]
Re (0.0000, 0.0000, 0.3564) [4 per cell]
Ag (0.0000, 0.0000, 0.6713) [4 per cell]

* * * * *

[1]
____________

**What to do**
It remains to print everything further above word for word.

**Reply**
No. 1
For LaYNp, a crystal structure in Alexandria, relaxed with PBE gives the calculated powder X-ray diffraction pattern in this record (CuKα).
No peak broadening, texture or thermal motion is included.

Largest 10 diffraction maxima, low angle first, 2θ = 10–90°:
- d = 7.986 Å, 11.1°, intensity 100
- d = 6.219 Å, 14.2°, intensity 63
- d = 5.674 Å, 15.6°, intensity 65
- d = 2.968 Å, 30.1°, intensity 56
- d = 2.842 Å, 31.5°, intensity 54
- d = 2.716 Å, 33.0°, intensity 68
- d = 2.539 Å, 35.4°, intensity 63
- d = 2.321 Å, 38.8°, intensity 52
- d = 2.258 Å, 39.9°, intensity 53
- d = 1.739 Å, 52.6°, intensity 44

Structural model:
Unit cell a=16.5412 b=3.5744 c=6.4405 alpha=90.00 beta=105.08 gamma=90.00
Space group C2/m (No. 12)
Symmetry-distinct sites (fractional):
La (0.0600, 0.0000, 0.2980) [4 per cell]
Y (0.1524, 0.5000, 0.8417) [4 per cell]
Np (0.2259, 0.5000, 0.3779) [4 per cell]

No. 2
For YNp3Sb4, a crystal structure in Alexandria, relaxed with PBE gives the calculated powder X-ray diffraction pattern in this record (CuKα).
No peak broadening, texture or thermal motion is included.

Largest 10 diffraction maxima, low angle first, 2θ = 10–90°:
- d = 3.589 Å, 24.8°, intensity 10
- d = 3.108 Å, 28.7°, intensity 100
- d = 2.198 Å, 41.1°, intensity 77
- d = 1.874 Å, 48.6°, intensity 6
- d = 1.794 Å, 50.9°, intensity 28
- d = 1.554 Å, 59.5°, intensity 13
- d = 1.390 Å, 67.4°, intensity 30
- d = 1.389 Å, 67.4°, intensity 6
- d = 1.269 Å, 74.8°, intensity 20
- d = 1.268 Å, 74.9°, intensity 7

Structural model:
Unit cell a=7.6154 b=8.8000 c=7.6037 alpha=90.00 beta=109.48 gamma=90.00
Space group P2/c (No. 13)
Symmetry-distinct sites (fractional):
Y (0.0000, 0.1248, 0.2500) [2 per cell]
Np (0.0000, 0.3739, 0.7500) [2 per cell]
Np (0.5000, 0.1242, 0.7500) [2 per cell]
Np (0.5000, 0.3742, 0.2500) [2 per cell]
Sb (0.2493, 0.3752, 0.5006) [4 per cell]
Sb (0.2501, 0.1247, 0.9989) [4 per cell]

No. 3
For Sr2Li2Nb4O13, a crystal structure in Alexandria, relaxed with PBE gives the calculated powder X-ray diffraction pattern in this record (CuKα).
No peak broadening, texture or thermal motion is included.

Largest 10 diffraction maxima, low angle first, 2θ = 10–90°:
- d = 8.653 Å, 10.2°, intensity 68
- d = 4.326 Å, 20.5°, intensity 23
- d = 3.976 Å, 22.4°, intensity 45
- d = 3.465 Å, 25.7°, intensity 73
- d = 3.111 Å, 28.7°, intensity 31
- d = 2.830 Å, 31.6°, intensity 69
- d = 2.773 Å, 32.3°, intensity 100
- d = 2.001 Å, 45.3°, intensity 60
- d = 1.733 Å, 52.8°, intensity 21
- d = 1.623 Å, 56.7°, intensity 41

Structural model:
Unit cell a=4.0023 b=4.0023 c=34.6112 alpha=90.00 beta=90.00 gamma=90.00
Space group I4/mmm (No. 139)
Symmetry-distinct sites (fractional):
Sr (0.0000, 0.0000, 0.1163) [4 per cell]
Li (0.0000, 0.5000, 0.2500) [4 per cell]
Nb (0.0000, 0.0000, 0.3219) [4 per cell]
Nb (0.0000, 0.0000, 0.4439) [4 per cell]
O (0.0000, 0.0000, 0.2669) [4 per cell]
O (0.0000, 0.0000, 0.3834) [4 per cell]
O (0.0000, 0.0000, 0.5000) [2 per cell]
O (0.0000, 0.5000, 0.0624) [8 per cell]
O (0.0000, 0.5000, 0.1724) [8 per cell]

No. 4
For MnReAg, a crystal structure in Alexandria, relaxed with PBE gives the calculated powder X-ray diffraction pattern in this record (CuKα).
No peak broadening, texture or thermal motion is included.

Largest 10 diffraction maxima, low angle first, 2θ = 10–90°:
- d = 6.756 Å, 13.1°, intensity 30
- d = 3.378 Å, 26.4°, intensity 16
- d = 2.479 Å, 36.2°, intensity 17
- d = 2.252 Å, 40.0°, intensity 24
- d = 2.244 Å, 40.2°, intensity 27
- d = 2.200 Å, 41.0°, intensity 100
- d = 1.590 Å, 58.0°, intensity 16
- d = 1.290 Å, 73.4°, intensity 13
- d = 1.287 Å, 73.6°, intensity 17
- d = 1.262 Å, 75.3°, intensity 16

Structural model:
Unit cell a=3.0484 b=4.4881 c=13.5114 alpha=90.00 beta=90.00 gamma=90.00
Space group Fmm2 (No. 42)
Symmetry-distinct sites (fractional):
Mn (0.0000, 0.0000, 0.0000) [4 per cell]
Re (0.0000, 0.0000, 0.3564) [4 per cell]
Ag (0.0000, 0.0000, 0.6713) [4 per cell]

* * * * *

[1]